**Job**
Please work out how many lines underneath have the word "hexagonal" in them; a number is enough.

**Material**
=====
# 1
DFT (PBE) results for a relaxed structure of TeOF2.

Unit cell a=3.1746 b=3.1746 c=21.9144 alpha=90.00 beta=90.00 gamma=120.00
Space group R-3m (No. 166, hexagonal axes)
One atom of each set of equivalent atoms:
Te 0.0000 0.0000 0.0000
O 0.0000 0.0000 0.5000
F 0.0000 0.0000 0.4198

* energy above the most stable polymorph in this dataset: 710 kJ/mol of formula units
* energy relative to the elements, uncorrected: 0.10 eV per atom

# 2
DFT (PBE) results for a relaxed structure of Te3O3F.

Unit cell a=7.1957 b=7.1957 c=21.3579 alpha=90.00 beta=90.00 gamma=120.00
Space group R-3 (No. 148, hexagonal axes)
One atom of each set of equivalent atoms:
Te 0.0256 0.6338 0.4272
O 0.0209 0.7753 0.2622
F 0.0000 0.0000 0.1085

* energy relative to the elements, uncorrected: -0.72 eV per atom

# 3
DFT (PBE) results for a relaxed structure of TeOF2.

Unit cell a=3.4609 b=3.4609 c=15.7106 alpha=90.00 beta=90.00 gamma=90.00
Space group I-42d (No. 122)
One atom of each set of equivalent atoms:
Te 0.0000 0.0000 0.0000
O 0.0000 0.0000 0.5000
F 0.2118 0.2500 0.1250

* energy above the most stable polymorph in this dataset: 352 kJ/mol of formula units
* energy relative to the elements, uncorrected: -0.82 eV per atom

# 4
DFT (PBE) results for a relaxed structure of Te2O5F.

Unit cell a=3.6483 b=5.2859 c=10.7059 alpha=90.00 beta=90.00 gamma=90.00
Space group Immm (No. 71)
One atom of each set of equivalent atoms:
Te 0.0000 0.0000 0.1834
O 0.0000 0.0000 0.0000
O 0.0000 0.2686 0.3251
F 0.0000 0.5000 0.0000

* energy relative to the elements, uncorrected: -0.52 eV per atom

# 5
DFT (PBE) results for a relaxed structure of TeOF2.

Unit cell a=3.9427 b=4.2558 c=5.1467 alpha=113.13 beta=110.63 gamma=93.56
Space group P1 (No. 1)
One atom of each set of equivalent atoms:
Te 0.0000 0.0000 0.0000
O 0.5037 0.0496 0.0006
F 0.1821 0.4738 0.3251
F 0.8617 0.1486 0.6763

* energy above the most stable polymorph in this dataset: 56 kJ/mol of formula units
* energy relative to the elements, uncorrected: -1.59 eV per atom

# 6
DFT (PBE) results for a relaxed structure of TeOF2.

Unit cell a=6.8698 b=4.9327 c=8.7677 alpha=90.00 beta=90.00 gamma=90.00
Space group Pnna (No. 52)
One atom of each set of equivalent atoms:
Te 0.2500 0.0000 0.0989
O 0.1424 0.2500 0.2500
F 0.0055 0.2138 0.9005

* energy above the most stable polymorph in this dataset: 30 kJ/mol of formula units
* energy relative to the elements, uncorrected: -1.66 eV per atom

# 7
DFT (PBE) results for a relaxed structure of Te2O3F2.

Unit cell a=5.3525 b=6.2745 c=7.1572 alpha=99.91 beta=108.72 gamma=92.22
Space group P-1 (No. 2)
One atom of each set of equivalent atoms:
Te 0.0973 0.4051 0.2033
Te 0.3805 0.0152 0.7652
O 0.0442 0.8608 0.7177
O 0.1480 0.6791 0.0646
O 0.3833 0.1542 0.0646
F 0.1643 0.4317 0.7089
F 0.4258 0.7909 0.5404

* energy relative to the elements, uncorrected: -1.44 eV per atom

# 8
DFT (PBE) results for a relaxed structure of TeOF2.

Unit cell a=3.2724 b=3.2724 c=25.2535 alpha=90.00 beta=90.00 gamma=120.00
Space group R-3m (No. 166, hexagonal axes)
One atom of each set of equivalent atoms:
Te 0.0000 0.0000 0.0000
O 0.0000 0.0000 0.5000
F 0.0000 0.0000 0.0787

* energy above the most stable polymorph in this dataset: 565 kJ/mol of formula units
* energy relative to the elements, uncorrected: -0.27 eV per atom

# 9
DFT (PBE) results for a relaxed structure of Te2OF.

Unit cell a=4.6157 b=4.6157 c=15.0588 alpha=90.00 beta=90.00 gamma=90.00
Space group I-42d (No. 122)
One atom of each set of equivalent atoms:
Te 0.1789 0.2500 0.1250
O 0.0000 0.0000 0.0000
F 0.0000 0.0000 0.5000

* energy above the most stable polymorph in this dataset: 17 kJ/mol of formula units
* energy relative to the elements, uncorrected: -0.58 eV per atom

# 10
DFT (PBE) results for a relaxed structure of TeOF2.

Unit cell a=5.5905 b=5.5905 c=5.5905 alpha=90.00 beta=90.00 gamma=90.00
Space group Fm-3m (No. 225)
One atom of each set of equivalent atoms:
Te 0.0000 0.0000 0.0000
O 0.0000 0.0000 0.5000
=====

**Completed**
3